Erik von Trapp

Erik von Trapp

Erik von Trapp (45-50 years old, African descent) – Beijing, China and International

A genius, engineer, and die-hard anarchist, Erik has zero allegiances and many passports – each with different aliases. For the time being, he lives in Beijing in an apartment full of security cameras with his adorable pug, Brad. He’s been hired by China’s Scientific Research Steering Committee for a telepathy research project, but behind the scenes, he’s embezzling money as part of a larger plan to disrupt world economies. Erik can outsmart anyone, even the CIA; but despite making fast enemies with Rachel LaTour, an unexpected catastrophe involving an alien will eventually cause them to join forces.

Character introduced in Book 1, first mentioned in Chapter 42, introduced in Chapter 44.

Exceptional Ability: Extremely high intelligence and cognitive ability (very superior, upper extreme, or highly advanced depending on the scale used).


Erik von Trapp, aka Erik Reiter, aka Eric Van Zell, aka Eric Hong, aka Jan Gantt, aka James Danvers, aka… well, the list goes on and even Erik von Trapp is likely an alias, too. He is an anarchist, no debate there. He is a freedom fighter, and humanity just doesn’t know he is their greatest ally. He is many different things, and it really depends on who you ask. Above all, he’s adaptable.

Very little is known about Erik as a child, but it is believed he was born in Canada. He then moved to Austria when he was a small child, then spent time in Denmark and Germany. Records indicate he received a Master’s degree in Engineering from RWTH Aachen University in Germany when he was 13 years old, and to this day, the youngest graduate of that prestigious university. And that was the last degree he received before deciding that the structure of the university system was too constrictive.

Between the age of 13 until well into his 40s, there is a significant gap in the record. Rumors place him in Sweden raising a family. Still others tell tales of him wandering through the deserts of Africa on hunting safaris with the Bedouins. One crazy rumor indicated he was learning the ways of the ascetics in India. A reliable first-hand account complete with one very out-of-focus picture is of him hiking the mountains between Bolivia and Chile when he was about 30 years old. Whatever the story, it’s clear that Erik’s past is much less relevant than his future.

In his 40s, he obtained an official post with the Communist Party of the People’s Republic of China to head of their cyber-security division and thwart outside intrusion. It’s believed that Erik was also instrumental in developing hacking technology. The Chinese position: the technology is only to test our network security. The American position: you are using that technology to hack the networks of other countries and companies. Erik’s position: if you have a technology, it’s important to test it out in many different, real-world scenarios.

Erik was also instrumental in developing banking and stock exchange software that helped ensure stability of the Chinese currency. The Chinese position: the software ensures proper tracking and reporting of the value of our currency. The American position: you are using that software to help manipulate the value of your currency and devalue it to increase the U.S. trade deficit with China. Erik’s position: it’s a very sophisticated system — lots of numbers — you wouldn’t really understand it.

By all accounts, Erik’s advice and assistance has been well received in China.

At the same time that Erik was working in China, he started, under the name James Danvers, a global non-profit organization, Population implosion Advocacy Agency, or nicknamed PiAA (pronounced like the Spanish dish, paella). Through both a newsletter and online blog, the group advocated the reversal of the world population explosion, or the movement that is referred to as negative population growth (NPG). Both to prevent destruction of the environment and reduce wars, most of which can be directly attributed to over-population, the Agency put forth some radical suggestions. Among these, allow nature to take its course and let plagues or other infectious outbreaks spread, especially to regions or areas where the people did not believe there was a problem or people avoided modern medicine because of religious beliefs. James Danvers was quoted in an interview on the BBC as saying “if people don’t immunize their children, let the children die. It will help remove mental deficiencies from the gene pool.” PiAA also put forth a belief that the Chinese population control system could be improved and should be exported to most large developed nations. Their most radical proposal indicated that having children shouldn’t be a right, nor should it be easy. All people should be sterilized at youth, then be required to pass a form of standardized test when they are at least 21 years old to be able to have the privilege to have children, and have that sterilization reversed only if they pass the test and could ensure they have the resources to raise a child. PiAA was a growing non-profit under Erik’s leadership.

┌──
VASP calculation (PBE with a Hubbard U) on a relaxed structure of MnSe2O8.

Unit cell a=6.476 b=6.476 c=4.774 alpha=96.85 beta=96.85 gamma=84.79
Atoms (fractional coordinates):
Mn 0.000 0.000 0.000
Se 0.201 0.201 0.656
Se 0.799 0.799 0.344
O 0.038 0.753 0.210
O 0.169 0.169 0.295
O 0.247 0.962 0.790
O 0.370 0.370 0.752
O 0.630 0.630 0.248
O 0.753 0.038 0.210
O 0.831 0.831 0.705
O 0.962 0.247 0.790

Calculated total energy, eV per atom: -5.549
Space group: No. 12
ρ, g/cm3: 2.9
└──

But in actuality, PiAA was only a front organization that was created to launder money that Erik was siphoning off of national banking systems which is his real reason for working on banking software. But the purpose of hacking into banks isn’t to get rich — he already has great wealth — it’s to create a complex bug in the global banking network that will ultimately bring about the downfall of the global economy. He is, after all, an anarchist and that is his true goal.

Erik is fluent in multiple languages, including German, English, Mandarin Chinese, Spanish, French, Danish, and possibly others. Native speakers in those languages are impressed that Erik speaks with hardly an accent at all.

Most recently, Erik’s assignment with the Chinese government has changed and he has been moved to a highly classified research division, the SRSC. The Chinese government has learned that there are individuals in their population, at least three people that they know of, but conceivably more, who have unusual mental abilities. The SRSC have attempted to collect as much information as possible, but they have met road-blocks, partly from skepticism in their own government, partly from skepticism from other nations, but also because individuals with the powers are presumably keeping them a secret.

Among other things, the SRSC is attempting to learn about these powers, which include telepathy, but also they tasked Erik with studying and proposing means, whether technological or biological, to block the brain waves generated by their subjects to stop their telepathic ability.

Now, Erik is working with a woman, Liu Lei, who has telepathy and is in charge of the study. She has a daughter, Regina, who also has telepathy and is actively working for the Chinese government using her ability. The other subject with telepathy seems less than enthusiastic to be a participant in the study. Yan Jing spent years in a Chinese mental institution and was initially believed to be schizophrenic, but Liu Lei confirmed that he has telepathy, albeit he is unable to effectively filter out the “voices” he hears (which are actually the thoughts of people near him). Lei worked with him to train him how to use his ability and filter out the thoughts. It worked, although Jing’s participation in the research was not voluntary.

The Chinese government trained Jing to be a spy and he was sent on a covert mission to North Korea. Jing has gone missing and the Chinese believe he is planning to defect to the United States. Finding Jing has become a top priority for the Chinese and it has Lei concerned as well. Erik is unconcerned. He has a different agenda, which the Chinese will learn about soon enough.

Dr. Morris’ Medical Notes

Since telepathy operates from actively or passively directed brain waves, which in turn operate on measurable frequencies, there may be a way to enhance or replicate this ability through some form of technology.